Brief >
What is needed: print the notes further below verbatim.

Listing >
<<<
Entry 1:
Compound: HgBi2MoS
Source: Alexandria via LeMat-Bulk
Functional: SCAN
Structure: PBEsol geometry

The structure in POSCAR format:
```
HgBi2MoS
1.0
5.2446 0.0000 0.0000
0.0000 5.2446 0.0000
0.0000 0.0000 5.1918
Hg Bi Mo S
1 2 1 1
Direct
0.0000 0.0000 0.0000
0.0000 0.5000 0.5000
0.5000 0.0000 0.5000
0.0000 0.0000 0.5000
0.5000 0.5000 0.0000
```

Computed properties:
Formation energy without anion corrections (eV per atom): 0.75
Final energy (eV per atom): -53.22
Space group: P4/mmm (123)

=====

Entry 2:
Compound: Na2Hg2Bi
Source: Alexandria via LeMat-Bulk
Functional: SCAN
Structure: PBEsol geometry

The structure in POSCAR format:
```
Na2Hg2Bi
1.0
8.5593 0.0000 0.0000
0.0000 8.5593 0.0000
0.0000 0.0000 3.4116
Na Hg Bi
4 4 2
Direct
0.1751 0.3249 0.0000
0.3249 0.8249 0.0000
0.6751 0.1751 0.0000
0.8249 0.6751 0.0000
0.1221 0.6221 0.5000
0.3779 0.1221 0.5000
0.6221 0.8779 0.5000
0.8779 0.3779 0.5000
0.0000 0.0000 0.5000
0.5000 0.5000 0.5000
```

Computed properties:
Final energy (eV per atom): -44.97
Space group: P4/mbm (127)

=====

Entry 3:
Compound: NbHgBi
Source: Alexandria via LeMat-Bulk
Functional: SCAN
Structure: PBEsol geometry

The structure in POSCAR format:
```
NbHgBi
1.0
3.5020 0.0000 0.0000
0.0000 3.5020 0.0000
0.0000 0.0000 12.0211
Nb Hg Bi
2 2 2
Direct
0.2500 0.2500 0.0581
0.7500 0.7500 0.9419
0.2500 0.2500 0.4142
0.7500 0.7500 0.5858
0.2500 0.2500 0.7992
0.7500 0.7500 0.2008
```

Computed properties:
Final energy (eV per atom): -60.00
Space group: P4/nmm (129)

=====

Entry 4:
Compound: TiNb2HgBi
Source: Alexandria via LeMat-Bulk
Functional: SCAN
Structure: PBEsol geometry

The structure in POSCAR format:
```
TiNb2HgBi
1.0
5.0328 0.0000 0.0000
0.0000 5.0328 0.0000
0.0000 0.0000 5.4301
Ti Nb Hg Bi
1 2 1 1
Direct
0.0000 0.0000 0.0000
0.0000 0.5000 0.5000
0.5000 0.0000 0.5000
0.5000 0.5000 0.5000
0.5000 0.5000 0.0000
```

Computed properties:
Final energy (eV per atom): -44.09
Space group: P4/mmm (123)

=====

Entry 5:
Compound: Hg3BiO
Source: Alexandria via LeMat-Bulk
Functional: SCAN
Structure: PBEsol geometry

The structure in POSCAR format:
```
Hg3BiO
1.0
5.8273 0.0000 0.0000
0.0000 5.8273 0.0000
0.0000 0.0000 5.8273
Hg Bi O
3 1 1
Direct
0.0000 0.0000 0.5000
0.0000 0.5000 0.0000
0.5000 0.0000 0.0000
0.0000 0.0000 0.0000
0.5000 0.5000 0.5000
```

Computed properties:
Formation energy without anion corrections (eV per atom): 0.66
Final energy (eV per atom): -57.20
Space group: Pm-3m (221)
Energy above the most stable polymorph in this dataset (meV/atom): 378.7

=====

Entry 6:
Compound: HgBiO2
Source: Alexandria via LeMat-Bulk
Functional: SCAN
Structure: PBEsol geometry

The structure in POSCAR format:
```
HgBiO2
1.0
1.7936 1.0355 6.8800
-1.7936 1.0355 6.8800
0.0000 -2.0711 6.8800
Hg Bi O
1 1 2
Direct
0.0000 0.0000 0.0000
0.5000 0.5000 0.5000
0.1081 0.1081 0.1081
0.8919 0.8919 0.8919
```

Computed properties:
Formation energy without anion corrections (eV per atom): -0.50
Final energy (eV per atom): -40.30
Space group: R-3m (166)

=====

Question: Among the records above, which one has the lowest final energy?
Answer: NbHgBi

----------

[1]
Density functional theory data (PBE) for a relaxed structure of SmErGa2Ag2.

Output
distance to the lowest polymorph of the same formula: 0 meV per atom
magnetization: 0.0 Bohr magnetons per cell
calculated volume: 129.8 Å³/f.u.

```
SmErGa2Ag2
1.0
4.593 0.000 0.000
-2.296 3.977 0.000
0.000 0.000 7.105
Er Ag Ga Sm
1 2 2 1
Cartesian
0.000 0.000 0.000 Er
0.000 2.652 5.274 Ag
0.000 2.652 1.831 Ag
2.296 1.326 1.540 Ga
2.296 1.326 5.565 Ga
0.000 0.000 3.553 Sm
```

=====

[2]
Density functional theory data (PBE) for a relaxed structure of K2Ba2Zn3.

Output
energy: -1.339 eV/atom
calculated volume: 272.2 Å³/f.u.

```
K2Ba2Zn3
1.0
9.451 2.694 -1.539
9.026 1.138 4.023
9.511 -2.913 -0.087
Zn K Ba
3 2 2
Cartesian
10.419 0.342 0.892 Zn
17.497 0.574 1.498 Zn
24.552 0.806 2.103 Zn
6.972 0.229 0.597 K
20.998 0.689 1.798 K
14.036 0.461 1.202 Ba
27.974 0.918 2.396 Ba
```

=====

[3]
>>>

Reply >
Entry 1:
Compound: HgBi2MoS
Source: Alexandria via LeMat-Bulk
Functional: SCAN
Structure: PBEsol geometry

The structure in POSCAR format:
```
HgBi2MoS
1.0
5.2446 0.0000 0.0000
0.0000 5.2446 0.0000
0.0000 0.0000 5.1918
Hg Bi Mo S
1 2 1 1
Direct
0.0000 0.0000 0.0000
0.0000 0.5000 0.5000
0.5000 0.0000 0.5000
0.0000 0.0000 0.5000
0.5000 0.5000 0.0000
```

Computed properties:
Formation energy without anion corrections (eV per atom): 0.75
Final energy (eV per atom): -53.22
Space group: P4/mmm (123)

=====

Entry 2:
Compound: Na2Hg2Bi
Source: Alexandria via LeMat-Bulk
Functional: SCAN
Structure: PBEsol geometry

The structure in POSCAR format:
```
Na2Hg2Bi
1.0
8.5593 0.0000 0.0000
0.0000 8.5593 0.0000
0.0000 0.0000 3.4116
Na Hg Bi
4 4 2
Direct
0.1751 0.3249 0.0000
0.3249 0.8249 0.0000
0.6751 0.1751 0.0000
0.8249 0.6751 0.0000
0.1221 0.6221 0.5000
0.3779 0.1221 0.5000
0.6221 0.8779 0.5000
0.8779 0.3779 0.5000
0.0000 0.0000 0.5000
0.5000 0.5000 0.5000
```

Computed properties:
Final energy (eV per atom): -44.97
Space group: P4/mbm (127)

=====

Entry 3:
Compound: NbHgBi
Source: Alexandria via LeMat-Bulk
Functional: SCAN
Structure: PBEsol geometry

The structure in POSCAR format:
```
NbHgBi
1.0
3.5020 0.0000 0.0000
0.0000 3.5020 0.0000
0.0000 0.0000 12.0211
Nb Hg Bi
2 2 2
Direct
0.2500 0.2500 0.0581
0.7500 0.7500 0.9419
0.2500 0.2500 0.4142
0.7500 0.7500 0.5858
0.2500 0.2500 0.7992
0.7500 0.7500 0.2008
```

Computed properties:
Final energy (eV per atom): -60.00
Space group: P4/nmm (129)

=====

Entry 4:
Compound: TiNb2HgBi
Source: Alexandria via LeMat-Bulk
Functional: SCAN
Structure: PBEsol geometry

The structure in POSCAR format:
```
TiNb2HgBi
1.0
5.0328 0.0000 0.0000
0.0000 5.0328 0.0000
0.0000 0.0000 5.4301
Ti Nb Hg Bi
1 2 1 1
Direct
0.0000 0.0000 0.0000
0.0000 0.5000 0.5000
0.5000 0.0000 0.5000
0.5000 0.5000 0.5000
0.5000 0.5000 0.0000
```

Computed properties:
Final energy (eV per atom): -44.09
Space group: P4/mmm (123)

=====

Entry 5:
Compound: Hg3BiO
Source: Alexandria via LeMat-Bulk
Functional: SCAN
Structure: PBEsol geometry

The structure in POSCAR format:
```
Hg3BiO
1.0
5.8273 0.0000 0.0000
0.0000 5.8273 0.0000
0.0000 0.0000 5.8273
Hg Bi O
3 1 1
Direct
0.0000 0.0000 0.5000
0.0000 0.5000 0.0000
0.5000 0.0000 0.0000
0.0000 0.0000 0.0000
0.5000 0.5000 0.5000
```

Computed properties:
Formation energy without anion corrections (eV per atom): 0.66
Final energy (eV per atom): -57.20
Space group: Pm-3m (221)
Energy above the most stable polymorph in this dataset (meV/atom): 378.7

=====

Entry 6:
Compound: HgBiO2
Source: Alexandria via LeMat-Bulk
Functional: SCAN
Structure: PBEsol geometry

The structure in POSCAR format:
```
HgBiO2
1.0
1.7936 1.0355 6.8800
-1.7936 1.0355 6.8800
0.0000 -2.0711 6.8800
Hg Bi O
1 1 2
Direct
0.0000 0.0000 0.0000
0.5000 0.5000 0.5000
0.1081 0.1081 0.1081
0.8919 0.8919 0.8919
```

Computed properties:
Formation energy without anion corrections (eV per atom): -0.50
Final energy (eV per atom): -40.30
Space group: R-3m (166)

=====

Question: Among the records above, which one has the lowest final energy?
Answer: NbHgBi

----------

[1]
Density functional theory data (PBE) for a relaxed structure of SmErGa2Ag2.

Output
distance to the lowest polymorph of the same formula: 0 meV per atom
magnetization: 0.0 Bohr magnetons per cell
calculated volume: 129.8 Å³/f.u.

```
SmErGa2Ag2
1.0
4.593 0.000 0.000
-2.296 3.977 0.000
0.000 0.000 7.105
Er Ag Ga Sm
1 2 2 1
Cartesian
0.000 0.000 0.000 Er
0.000 2.652 5.274 Ag
0.000 2.652 1.831 Ag
2.296 1.326 1.540 Ga
2.296 1.326 5.565 Ga
0.000 0.000 3.553 Sm
```

=====

[2]
Density functional theory data (PBE) for a relaxed structure of K2Ba2Zn3.

Output
energy: -1.339 eV/atom
calculated volume: 272.2 Å³/f.u.

```
K2Ba2Zn3
1.0
9.451 2.694 -1.539
9.026 1.138 4.023
9.511 -2.913 -0.087
Zn K Ba
3 2 2
Cartesian
10.419 0.342 0.892 Zn
17.497 0.574 1.498 Zn
24.552 0.806 2.103 Zn
6.972 0.229 0.597 K
20.998 0.689 1.798 K
14.036 0.461 1.202 Ba
27.974 0.918 2.396 Ba
```

=====

[3]